Coffee.. good or bad?



  • drmerc
    drmerc Posts: 2,603 Member
    coffee is very harmful to the body. even decaf isn't great for you. Coffee is highly acidic. Highly acidic foods (not to be confused with the acid in citrus foods) produce fat cells in order to keep the acid away from your body organs. Also, keep in mind that we import coffee beans from other countries where they use harmful insecticides (such as DD7) that even WE don't allow in the US.

    Maybe you could try herbal organic tea to start your day instead? :)

____________
Record 1
Calculated powder XRD pattern of KHCS2N for Cu Kα, from a DFT-relaxed cell (GGA-PBE, Alexandria).
Intensities are scaled so that the largest is 100.

Main lines, most intense first (10° ≤ 2θ ≤ 90°):
hkl, two_theta, I/Imax
1 1 1, 16.7, 100.0
0 2 0, 26.0, 95.5
4 0 0, 27.0, 80.5
3 1 3, 34.5, 69.1
3 1 0, 24.0, 60.4
4 0 2, 31.6, 55.8
1 1 3, 28.5, 54.7
4 2 0, 37.8, 52.7

abc: 13.2287 6.8602 10.9421
angles: 90.00 90.00 90.00
Space group Pbcn (No. 60)
Unique sites:
K  0.1468  0.1942  0.0413 (multiplicity 8)
H  0.0268  0.4810  0.8714 (multiplicity 8)
C  0.0929  0.2868  0.6470 (multiplicity 8)
S  0.1113  0.2925  0.4906 (multiplicity 8)
S  0.1660  0.1524  0.7417 (multiplicity 8)
N  0.0150  0.3983  0.6897 (multiplicity 8)

=====

Record 2
Calculated powder XRD pattern of K2NaZn2H5C4O14 for Cu Kα, from a DFT-relaxed cell (GGA-PBE, Alexandria).
Intensities are scaled so that the largest is 100.

Main lines, most intense first (10° ≤ 2θ ≤ 90°):
hkl, two_theta, I/Imax
1 0 2, 29.7, 100.0
0 2 1, 17.8, 89.1
1 1 -1, 18.7, 66.3
1 3 -1, 29.3, 64.4
0 4 1, 32.9, 54.8
1 1 -4, 32.0, 47.0
2 0 -2, 34.4, 45.8
0 4 0, 31.8, 43.4

abc: 5.2228 11.2501 11.7034
angles: 90.00 113.83 90.00
Space group P2_1/c (No. 14)
Unique sites:
K  0.0359  0.1664  0.0796 (multiplicity 4)
Na  0.0000  0.0000  0.5000 (multiplicity 2)
Zn  0.3255  0.6060  0.7943 (multiplicity 4)
H  0.0520  0.6982  0.1756 (multiplicity 4)
H  0.3761  0.6692  0.2234 (multiplicity 4)
H  0.5000  0.0000  0.0000 (multiplicity 2)
C  0.2901  0.0718  0.8193 (multiplicity 4)
C  0.4245  0.1294  0.4349 (multiplicity 4)
O  0.0598  0.0599  0.8343 (multiplicity 4)
O  0.2090  0.1698  0.4491 (multiplicity 4)
O  0.2398  0.7130  0.2490 (multiplicity 4)
O  0.2949  0.1100  0.7159 (multiplicity 4)
O  0.3353  0.6186  0.9681 (multiplicity 4)
O  0.4114  0.0968  0.3259 (multiplicity 4)
O  0.4712  0.5442  0.5887 (multiplicity 4)

* * * * *

(1)
Computed powder XRD pattern
Compound: Ba3SrCo2Cu4S4O4
Radiation: Cu Kα (weighted mean of Kα1 and Kα2)
Structure: a structure optimized by DFT (GGA+U)
Intensities are scaled so that the largest is 100.

Most intense lines, 2θ = 10–90°, sorted by position:
2θ 22.62, intensity 22, hkl 1 0 1
2θ 31.50, intensity 17, hkl 1 1 0
2θ 32.34, intensity 100, hkl 1 0 5
2θ 32.90, intensity 35, hkl 1 1 2
2θ 36.82, intensity 51, hkl 1 1 4
2θ 39.94, intensity 13, hkl 1 0 7
2θ 45.15, intensity 44, hkl 2 0 0
2θ 56.62, intensity 38, hkl 2 1 5
2θ 58.21, intensity 25, hkl 1 1 10
2θ 65.76, intensity 14, hkl 2 2 0

Cell lengths 4.016, 4.016, 19.101 Å; angles 90.00, 90.00, 90.00 degrees
Atoms (fractional coordinates):
Ba1 0.000 0.000 0.000
Ba2 0.000 0.000 0.195
Ba3 0.500 0.500 0.503
Sr1 0.500 0.500 0.691
Co1 0.000 0.000 0.603
Co2 0.500 0.500 0.098
Cu1 0.000 0.500 0.348
Cu2 0.000 0.500 0.846
Cu3 0.500 0.000 0.348
Cu4 0.500 0.000 0.846
S1 0.000 0.000 0.417
S2 0.000 0.000 0.775
S3 0.500 0.500 0.277
S4 0.500 0.500 0.918
O1 0.000 0.500 0.098
O2 0.000 0.500 0.603
O3 0.500 0.000 0.098
O4 0.500 0.000 0.603

---

(2)
____________

    I wish MFP gave out awards for stupid posts
  • mindidily
    mindidily Posts: 196 Member
    I love coffee. I've been able to cut out putting lots of cream and sugar in it, too. I really like it with a bit of skim milk or a splash of half and half with just a little honey (if I feel like adding sweetness to it; sometimes I don't).
  • zaph0d
    zaph0d Posts: 1,172 Member
    Coffee rules. I don't care for the creamers, sugars or syrups that people ruin it with though
  • I will give up potato chips, I will give up ice cream, but I will cut a b*tch who tries to take away my coffee...

    HAHA Good one, I just spit out my water on that one!
  • DonniesGirl69
    DonniesGirl69 Posts: 644 Member
    I :heart: coffee and am fairly sure I'd die without it. If not me, certainly SOMEONE would die if I had no coffee. :laugh:

    Granted, I drink mine black with no sweetener of any kind, so it doesn't really effect my calories but even with cream and sugar, just log it and it should be fine. :smile:
  • I love my cup of coffee but now drink it black and with one sugar not too makes a difference in total calories if having a fes cups throughout the day.... However have a sneaky feeling my coffee cake recipe will be not coming out for a ehile lol
  • TexasTroy
    TexasTroy Posts: 477 Member
    Coffee does NOT dehydrate. I really wish that myth would go away. It's full of antioxidants, and it's damn good for you.

........
No. 1
The following is a simulated powder X-ray diffraction pattern of YSb6Pd12. It was derived from DFT lattice parameters and positions (GGA-PBE), using Cu Kα (λ = 1.5418 Å).

Top 10 peaks for 2θ = 10–90°, sorted by position:
2θ/deg, intensity
24.6, 25
30.1, 27
32.4, 67
33.3, 35
38.8, 84
39.6, 100
42.7, 38
43.8, 48
47.9, 66
76.5, 32

Structural model:
```
19
Lattice="6.044 3.490 3.001 -6.044 3.490 3.001 0.000 -6.979 3.001" Properties=species:S:1:pos:R:3 pbc="T T T"
Y 0.000 0.000 0.000
Sb 0.000 -2.868 3.631
Sb -2.484 1.434 3.631
Sb -2.484 -1.434 5.370
Sb 2.484 1.434 3.631
Sb 2.484 -1.434 5.370
Sb 0.000 2.868 5.370
Pd -1.448 -0.836 2.478
Pd -2.288 -3.963 4.501
Pd -4.576 0.000 4.501
Pd 1.448 -0.836 2.478
Pd 0.000 1.672 2.478
Pd 2.288 -3.963 4.501
Pd -2.288 3.963 4.501
Pd 0.000 -1.672 6.524
Pd -1.448 0.836 6.524
Pd 4.576 0.000 4.501
Pd 2.288 3.963 4.501
Pd 1.448 0.836 6.524
```



No. 2
The following is a simulated powder X-ray diffraction pattern of TcMo. It was derived from DFT lattice parameters and positions (GGA-PBE), using Cu Kα (λ = 1.5418 Å).

Top 10 peaks for 2θ = 10–90°, sorted by position:
2θ/deg, intensity
40.5, 34
40.7, 66
40.9, 100
58.9, 22
59.2, 10
73.7, 11
74.0, 16
74.3, 16
74.5, 21
88.5, 7

Structural model:
```
4
Lattice="3.123 0.000 0.000 0.006 4.412 0.000 0.018 0.005 4.456" Properties=species:S:1:pos:R:3 pbc="T T T"
Tc 0.698 2.192 1.083
Tc 2.450 2.226 3.373
Mo 0.768 4.407 3.313
Mo 2.380 0.010 1.143
```



No. 3
The following is a simulated powder X-ray diffraction pattern of Zr3Ag3C. It was derived from DFT lattice parameters and positions (GGA-PBE), using Cu Kα (λ = 1.5418 Å).

Top 10 peaks for 2θ = 10–90°, sorted by position:
2θ/deg, intensity
12.1, 10
30.9, 7
34.8, 28
37.0, 100
40.4, 26
43.0, 11
62.4, 30
63.9, 8
68.1, 6
74.9, 19

Structural model:
```
28
Lattice="0.000 6.310 6.310 6.310 0.000 6.310 6.310 6.310 0.000" Properties=species:S:1:pos:R:3 pbc="T T T"
Zr 4.733 4.733 0.750
Zr 4.733 0.750 4.733
Zr 8.715 4.733 4.733
Zr 7.888 7.888 3.906
Zr 7.888 3.906 7.888
Zr 11.870 7.888 7.888
Zr 0.750 4.733 4.733
Zr 4.733 8.715 4.733
Zr 4.733 4.733 8.715
Zr 3.906 7.888 7.888
Zr 7.888 11.870 7.888
Zr 7.888 7.888 11.870
Ag 6.310 3.155 3.155
Ag 3.647 3.647 3.647
Ag 5.819 5.819 3.647
Ag 5.819 3.647 5.819
Ag 8.974 6.802 6.802
Ag 3.155 6.310 3.155
Ag 3.155 3.155 6.310
Ag 6.310 6.310 6.310
Ag 3.647 5.819 5.819
Ag 6.802 8.974 6.802
Ag 6.802 6.802 8.974
Ag 8.974 8.974 8.974
C 0.000 0.000 0.000
C 3.155 3.155 0.000
C 3.155 0.000 3.155
C 0.000 3.155 3.155
```



Please write out number 1 again, unchanged.
The following is a simulated powder X-ray diffraction pattern of YSb6Pd12. It was derived from DFT lattice parameters and positions (GGA-PBE), using Cu Kα (λ = 1.5418 Å).

Top 10 peaks for 2θ = 10–90°, sorted by position:
2θ/deg, intensity
24.6, 25
30.1, 27
32.4, 67
33.3, 35
38.8, 84
39.6, 100
42.7, 38
43.8, 48
47.9, 66
76.5, 32

Structural model:
```
19
........

    Coffee itself doesnt dehyrate you but the caffeine in the coffee can. Caffeine is a diuretic .....its one reason that it is used in most weightloss pills.

    Coffee is a great weapon to add to your nutrition plan but dont do what i do when drinking it- add a cup of creamer, lol.
  • caseythirteen
    caseythirteen Posts: 956 Member
    I'm tinkering with the idea of drinking coffee and I'm seeing mixed reviews on whether it's good if it's bad especially with the lifestyle change. I can't drink black coffee because it's just nasty so I'd more than likely have to add some creamer to it. Any suggestions? Pros? Cons?

    IMO, if you like it, drink it. If you don't like it, don't drink it. I really don't think there is any big swing nutrionally one way or the other for it to be something you figure out how to work in to your diet.

    For me, love it. Have my two cups in the morning and it makes me a very happy camper.
  • heretic911
    heretic911 Posts: 66 Member
    Coffee with caffeine is okay for adults without heart or stomach problems from what I have read, 1 to 3 cups a day can even reduce risk of altzheimers according to some studies. Each person should gauge how they feel and check research in my opinion. :bigsmile:
  • zeebruhgirl
    zeebruhgirl Posts: 493 Member
    It's delicious, who cares? haha
  • nturner612
    nturner612 Posts: 710 Member
    i absolutly cannot live in this life without coffee! while i use about 5teaspoons of sugar for one was really setting me back and i didnt know what to do about it. Then one moring i splurged on a mcds skim milk latte with 5 splenda...and it was DELICIOUS! so now theres no telling which i might have. and i found that if i take skim milk and add instant coffee at home it taste the same!
  • bcattoes
    bcattoes Posts: 17,299 Member
    I've never liked the stuff, but in general I'd say it's more good than bad. But, let's ask the expert.

    4. Is there any research that suggests coffee may have some beneficial health effects?

    Yes, research over the past few years suggests that coffee consumption may protect against type 2 diabetes, Parkinson's disease, liver cancer, and liver cirrhosis. And our latest study on coffee and mortality found that people who regularly drank coffee actually had a somewhat lower risk of death from cardiovascular disease than those who rarely drank coffee; this result needs to be confirmed in further studies, however. This is a pretty active area of research right now, and it's not at the stage where we would say, "Start drinking coffee to increase your health even if you don't like it." But I think the evidence is good that for people in general—outside of a few populations, such as pregnant women, or people who have trouble controlling their blood pressure or blood sugar—coffee is one of the good, healthy beverage choices.
  • paygep
    paygep Posts: 401 Member
    I work next door to dunkin donuts. I have major GUILT when I have a latte. I've stopped allowing myself one a day, cutting back to just the days I know I'll be working more than 12 hours. I feel like they make my face break out. Also, they dehydrate me first thing in the morning and I feel like I'm playing 'catch up' on water all day afterward. But, boy do I LOVE that zoomin' feeling.
  • Coffee GOOD!

    It's like 2 calories per 8oz. cup, I can burn that off doing a jumping jack! Just measure and sugar or milk/cream you put in it don't eye ball it measure it out!
  • cmcollins001
    cmcollins001 Posts: 3,472 Member
    coffee is very harmful to the body. even decaf isn't great for you. Coffee is highly acidic. Highly acidic foods (not to be confused with the acid in citrus foods) produce fat cells in order to keep the acid away from your body organs. Also, keep in mind that we import coffee beans from other countries where they use harmful insecticides (such as DD7) that even WE don't allow in the US.

    Maybe you could try herbal organic tea to start your day instead? :)

    Exactly the opposite of what my dietitian said when I asked her. Actually a few cups of black coffee is good for you, but like everything else in the world, moderation is the key.
  • coffee is very harmful to the body. even decaf isn't great for you. Coffee is highly acidic. Highly acidic foods (not to be confused with the acid in citrus foods) produce fat cells in order to keep the acid away from your body organs. Also, keep in mind that we import coffee beans from other countries where they use harmful insecticides (such as DD7) that even WE don't allow in the US.

    Maybe you could try herbal organic tea to start your day instead? :)

    I'm sorry but you're full of it.
  • DonniesGirl69
    DonniesGirl69 Posts: 644 Member
    coffee is very harmful to the body. even decaf isn't great for you. Coffee is highly acidic. Highly acidic foods (not to be confused with the acid in citrus foods) produce fat cells in order to keep the acid away from your body organs. Also, keep in mind that we import coffee beans from other countries where they use harmful insecticides (such as DD7) that even WE don't allow in the US.

• What comes next are calculated crystals, not part of the entry:
'''
For Na7Al3O8, a DFT-relaxed cell (GGA-PBE, Alexandria) gives the calculated powder XRD pattern in this record (λ = 1.5418 Å (Cu Kα)).

Structural model:
Cell: 5.9189 8.0301 11.4246 Å, 69.46 89.83 71.20°
Space group P-1 (No. 2)
Inequivalent atoms, fractional coordinates:
Na 0.0311 0.2048 0.2312 [2 per cell]
Na 0.0534 0.1935 0.7379 [2 per cell]
Na 0.1283 0.5879 0.0556 [2 per cell]
Na 0.1579 0.5971 0.5520 [2 per cell]
Na 0.2248 0.0165 0.0524 [2 per cell]
Na 0.2436 0.9911 0.5557 [2 per cell]
Na 0.3462 0.4045 0.8325 [2 per cell]
Al 0.3366 0.4054 0.3409 [2 per cell]
Al 0.4316 0.7985 0.3646 [2 per cell]
Al 0.4582 0.8250 0.8536 [2 per cell]
O 0.0385 0.4897 0.2687 [2 per cell]
O 0.1403 0.9026 0.3962 [2 per cell]
O 0.1796 0.8679 0.9167 [2 per cell]
O 0.2807 0.2996 0.0359 [2 per cell]
O 0.3460 0.2672 0.5047 [2 per cell]
O 0.4367 0.5944 0.3348 [2 per cell]
O 0.4485 0.7169 0.7393 [2 per cell]
O 0.4795 0.0574 0.7715 [2 per cell]

Largest 10 diffraction maxima, by angle, 10° ≤ 2θ ≤ 80°:
2θ (°)  I (rel.)  hkl
24.6  22  0 2 2
24.8  16  1 2 0
33.5  30  2 2 0
35.4  27  0 2 -2
35.6  100  1 0 -4
38.4  46  2 0 2
38.5  39  -2 1 2
45.0  20  1 3 -2
45.2  27  1 4 2
61.3  21  3 4 4

***

For MgRh5, a DFT-relaxed cell (GGA-PBE, Alexandria) gives the calculated powder XRD pattern in this record (λ = 1.5418 Å (Cu Kα)).

Structural model:
Cell: 2.7605 2.7605 11.4759 Å, 90.00 90.00 90.00°
Space group P4/mmm (No. 123)
Inequivalent atoms, fractional coordinates:
Mg 0.0000 0.0000 0.0000 [1 per cell]
Rh 0.0000 0.0000 0.3338 [2 per cell]
Rh 0.5000 0.5000 0.1728 [2 per cell]
Rh 0.5000 0.5000 0.5000 [1 per cell]

Largest 10 diffraction maxima, by angle, 10° ≤ 2θ ≤ 80°:
2θ (°)  I (rel.)  hkl
15.4  8  0 0 2
23.3  2  0 0 3
32.4  2  1 0 0
33.4  3  1 0 1
'''

    Maybe you could try herbal organic tea to start your day instead? :)

    I rarely just call an opinion out a BS, but this.....utter bunk.

    Just MY opinion :huh:
  • kooltray87
    kooltray87 Posts: 501 Member
    I guess I never got my adult taste buds, but coffee is GROSS. The only way I can drink it is with lots of chocolate. Plus it stains teeth! :-o

    No offense to u coffee drinkers...drink on!
  • islandnutshel
    islandnutshel Posts: 1,143 Member
    My vote, if it counts, is for COFFEE.
    I do recommend drinking it with some fat in it for the sake of your teeth, to prevent staining. Even 2% milk is enough to cut the acid and prevent staining. But coffee stain is nowhere near as hard to get off teeth as cigarettes. Coffee is in the same stain catagory as red wine, dark berries, tea.........
    Love coffee